News outlets sometimes covered my works. Artists sometimes use our published techniques to generate art works which are exhibited in the US and Europe.
Selected articles

2024. ArsTechnica. Can you do better than top-level AI models on these basic vision tests?

2024. TechCrunch. ‘Visual’ AI models might not see anything at all

2024. Youth Today. Testing AI’s pluses and minuses in after-school programming

2021. IEEE Spectrum. 7 Revealing ways AIs fail

2021. MIT Technology Review. Jumbled-up sentences show that AIs still don’t really understand language

2019. Nature. Why deep-learning AIs are so easy to fool

The article is interrupted by crystal structures =
'''
Entry 1:
MgVPO5: optimized geometry, PBE+U.

Lattice parameters (Å, degrees): 5.2893 7.1148 10.9359 77.85 99.36 73.03
Atoms (fractional coordinates):
Mg 0.5578 0.9362 0.3104
Mg 0.0582 0.4351 0.8103
Mg 0.4415 0.0471 0.6912
Mg 0.9417 0.5475 0.1912
V 0.9998 0.9916 0.5007
V 0.9998 0.4913 0.5007
V 0.5000 0.4915 0.0006
V 0.4996 0.9915 0.0008
P 0.5183 0.5604 0.6916
P 0.0182 0.0608 0.1916
P 0.4815 0.4225 0.3097
P 0.9813 0.9222 0.8096
O 0.3070 0.4489 0.6733
O 0.8070 0.9493 0.1733
O 0.3790 0.7938 0.6344
O 0.8793 0.2941 0.1343
O 0.6932 0.5337 0.3283
O 0.1925 0.0340 0.8283
O 0.6208 0.1891 0.3669
O 0.1213 0.6890 0.8667
O 0.3378 0.4748 0.1638
O 0.8375 0.9750 0.6637
O 0.7322 0.0069 0.8646
O 0.2325 0.5079 0.3646
O 0.6624 0.5079 0.8375
O 0.1615 0.0087 0.3376
O 0.2674 0.9755 0.1368
O 0.7669 0.4750 0.6365
O 0.1389 0.1987 0.5429
O 0.6388 0.6987 0.0429
O 0.8606 0.7844 0.4584
O 0.3612 0.2842 0.9585

Calculated values
Space group ... P1
Energy of formation from the pure elements ... -273 kJ per mole of atoms
Relative energy among the computed polymorphs ... 0.000 eV per atom


Entry 2:
MgV4P2O13: optimized geometry, PBE+U.

Lattice parameters (Å, degrees): 5.2751 5.1764 8.9229 94.45 99.70 82.29
Atoms (fractional coordinates):
Mg 0.2625 0.4564 0.5568
V 0.2450 0.0204 0.6956
V 0.0209 0.8814 0.3425
V 0.5878 0.4926 0.9371
V 0.3965 0.2653 0.2764
P 0.0134 0.9601 0.9981
P 0.7633 0.5860 0.5966
O 0.9654 0.7750 0.5681
O 0.2165 0.8563 0.8915
O 0.1182 0.5300 0.3223
O 0.2676 0.0759 0.4698
O 0.4203 0.3062 0.7664
O 0.1705 0.9958 0.1670
O 0.5812 0.7261 0.7072
O 0.5804 0.5180 0.4503
O 0.4682 0.4305 0.0928
O 0.7104 0.0364 0.2969
O 0.8936 0.2340 0.9527
O 0.9354 0.3433 0.6555
O 0.8234 0.7680 0.0070

Calculated values
Space group ... P1
Energy of formation from the pure elements ... -246 kJ per mole of atoms
Relative energy among the computed polymorphs ... 0.060 eV per atom


Entry 3:
MgP4WO12: optimized geometry, PBE+U.

Lattice parameters (Å, degrees): 7.7860 7.7860 10.3489 64.96 64.96 65.27
Atoms (fractional coordinates):
Mg 0.9568 0.0432 0.7500
Mg 0.0432 0.9568 0.2500
P 0.3185 0.3086 0.6822
P 0.6914 0.6815 0.8178
P 0.6815 0.6914 0.3178
P 0.3086 0.3185 0.1822
P 0.7283 0.2433 0.4831
P 0.7567 0.2717 0.0169
P 0.2717 0.7567 0.5169
P 0.2433 0.7283 0.9831
W 0.5000 0.0000 0.0000
W 0.0000 0.5000 0.5000
O 0.3003 0.5382 0.6370
O 0.4618 0.6997 0.8630
O 0.6997 0.4618 0.3630
O 0.5382 0.3003 0.1370
O 0.5030 0.2310 0.5516
O 0.7690 0.4970 0.9484
O 0.4970 0.7690 0.4484
O 0.2310 0.5030 0.0516
O 0.3526 0.2080 0.8308
O 0.7920 0.6474 0.6692
O 0.6474 0.7920 0.1692
O 0.2080 0.3526 0.3308
O 0.1410 0.2846 0.6716
O 0.7154 0.8590 0.8284
O 0.8590 0.7154 0.3284
O 0.2846 0.1410 0.1716
O 0.7940 0.2340 0.6037
O 0.7660 0.2060 0.8963
O 0.2060 0.7660 0.3963
O 0.2340 0.7940 0.1037
O 0.8425 0.0985 0.3973
O 0.9015 0.1575 0.1027
O 0.1575 0.9015 0.6027
O 0.0985 0.8425 0.8973

Calculated values
Space group ... C2/c
Energy of formation from the pure elements ... -238 kJ per mole of atoms


Entry 4:
'''
So much for the crystal structures =

2019. Binary District. How to Make Use of Recent Research on Artificial Neural Networks

2019. New Scientist. The best image-recognition AIs are fooled by slightly rotated images

2018. ZDNet. Google’s image recognition AI fooled by new tricks

2018. Nautilus. Why Robot Brains Need Symbols

2018. Swiss NSF. Deep Neural Networks: researchers outsmart algorithms in order to understand them better

2017. BBC. The tiny changes that can cause AI to fail

2017. Communications of the ACM. Computing the Arts

2017. Nature. Astronomers explore uses for AI-generated images

2016. The Verge. Artificial intelligence is going to make it easier than ever to fake images and video

2016. Nature. Can we open the black box of AI?

2016. Popular Science. See the difference one year makes in Artificial Intelligence research

2016. American Scientist. Computer Vision and Computer Hallucinations

2015. Scientific American. Do Androids Dream?

2015. The Economist. Rise of the Machines

2014. MIT Technology Review. “Smart” Software Can Be Tricked into Seeing What Isn’t There

2014. New Scientist. Optical illusions fool computers into seeing things

2014. MIT Technology Review. How An Intelligent Thimble Could Replace the Mouse In 3D Virtual Reality Worlds

2014. Fast Company. Is A Smart Thimble The Computer Mouse Of The Future?

2014. IFL Science. 3DTouch Works In 3 Dimensions & Could Replace The Computer Mouse

2014. Wired. Augmented Reailty: a fingertip mounted bat
2022. Our Strike with A Pose is being exhibited at Musée de la main UNIL-CHUV, Lausanne, Switzerland (photos).
2017. Our Innovation Engine is being displayed at the Phillip and Patricia Frost Museum of Science in Miami, FL.
2017. Our Plug and Play Generative Networks are used to generate art for display at Transmediale, Europe’s largest media art festival. Thanks Constant Dullaart & Adam Harvey!
2016. Our Innovation Engine works and DeepVis toolbox are exhibited at the Science Gallery in Dublin, Ireland. Thanks Frederik de Wilde!
2016. Our Innovation Engine works and DeepVis toolbox are exhibited at the Berry Center in U Wyoming, USA.
2016. Images produced by our Innovation Engine won a prize at an art contest and displayed at the Art Museum at U Wyoming.
2015. Our Innovation Engine works and DeepVis toolbox are exhibited in the Netherlands. Thanks Frederik de Wilde!